Thursday, December 18, 2008

Calling BS on Obama #1

[#1, because I am sure there will be many opportunities over the next four years.]

Obama has chosen Rick Warren, mega-church pastor, evangelist, and CA-Prop 8 supporter to deliver the invocation at his inauguration.  Which is fine by me.  But here's Obama defending his position on GLBT rights:
Obama also said he's known to be a "fierce advocate for equality" for gays and lesbians, and will remain so.
But equality apparently does not extend to same-sex marriage:
Obama told MTV he believes marriage is "between a man and a woman" and that he is "not in favor of gay marriage."
And that's where I call BS.  Either allow same-sex marriage, or make the government recognize only civil unions for everybody, gay or straight, and let individual faiths/churches/whatever decide what "marriage" is.

Update: Actually, I now do have a problem with Rick Warren.  According to Kathryn Kolbert of People for the American Way:
But it's not just his support for Prop. 8 that is so galling to equality activists.
It's that Warren, in an interview with, has since equated allowing loving same-sex couples to get married with redefining marriage to permit incest and pedophilia.
That is just plain Santorum-level stupidity and bigotry.

Thursday, December 11, 2008

Sonal Shah in the Obama team: right-wing Hindu sympathizer?

Sonal Shah is part of the Obama transition team, on leave from, and a former Clinton Treasury official. She is a member of the Technology, Innovation and Government Reform panel.
Today I saw an article on that Shah "formally severs links with the VHP." Googling around a little, Shah has been accused of being a sympathizer of the Hindu nationalist Vishwa Hindu Parishad (VHP) by Professor Vijay Prashad of Trinity College, Hartford, CT in an article on Counterpunch.

A second National Journal on this topic prompted a fresh statement from Ms Shah, in full here. A second NJ article is here (where I picked up some of these links). Shah's statement included this nugget:
In 2002, Gujarat suffered one of the most profound tragedies in its long history, when extremist political leaders, including some associated with the VHP, incited riots that resulted in the deaths of thousands. Had I been able to foresee the role of the VHP in India in these heinous events, or anticipate that the VHP of America could possibly stand by silently in the face of its Indian counterpart’s complicity in the events of Gujarat in 2002 — thereby undermining the American group’s cultural and humanitarian efforts with which I was involved — I would not have associated with the VHP of America.

Emphasis added. Any Indian involved with politics (even stateside) should have been aware of the 1992-93 Hindu-Muslim riots following the demolition of a Muslim Masjid by a Hindu mob led by BJP leaders, and the extremism the BJP and its allies, including the VHP, are guilty of, IMO. The 1992-93 events and the surrounding "Hindu nationalism" campaign kick-started the BJP's rise to power. So this is a really weak denial, if you ask me.

An e-mail she sent her supporters apparently includes:
"I need your help," wrote Shah. "This is gaining legs as the National Journal also picked it up and likely Fox. I need to moblize [sic] people against the leftists and the right wing. There is a likely chance that they will ask me to resign as team does not need my publicity."
(National Journal story; emphasis added.)
I haven't seen any such mentions on dkos in the past month. This is not a specific targeting of Indian-leftists (even in the US), but a generic statement similar to the VHP-A's assertion (quoted below).
UPDATE: So my search criteria was a day or two less than required - I found three diaries on Nov 8/10, two questioning Shah's ties to the VHP (link1, link2), both of which received 1 "rec" and 250 comments in total - mostly saying the diarists were wrong. The third diary praised the first two diarists for raising the question and initiating a spirited discussion. Still, two diaries does not the American left make; an American such as Sonal Shah should know that "leftists and the right-wing" in the US means liberals as found on dkos, and Republicans, respectively.

For people who don't know, the VHP is part of the Hindu nationalists in India, which includes the more mainstream Bharatiya Janata Party (BJP), and the parent Rashtriya Swayamsevak Sangh (RSS).

The trail ends (starts?) with Professor Prashad's article in Counterpunch, which goes into some historical detail about Gujarat, the site of Hindu-Muslim riots in 2002 (allegedly aided by the BJP state government). Prashad also details Ms Shah's apparently strong family links to the VHP/BJP/etc. (her father came stateside when she was very young). He describes a personal encounter in 2004:
In 2004... I questioned her links to the Hindu Right, and so asked people to be wary about her organization, Indicorps. She was furious, and we had a bitter exchange in the Green Room. But at no point did she deny her active connections to the Hindu Right... “Of course we are free to have our multiple associations, and there is no expectation that all our affiliations necessarily influence each other. That necessity is granted, although it is my understanding that the VHPA is a very disciplined organization that demands a lot from its members – notably congruence in all the work that they do. Which is why I raised the question.”

Guess who next raised the question? None other than Rick "gay marriage leads to bestiality" Santorum (talk about bipartisanship, and a Republican accusing someone of right-wing ties!) From the first National Journal article:
Santorum's Thursday op-ed piece for the Philadelphia Inquirer repeated the charge made by several others:...
"Shah should condemn the VHP and its actions soon," Santorum wrote. "If she doesn't, keeping her on -- or, more ominously, giving her a post in the new administration -- would send the message that the president-elect does not think the VHP is a radical organization."

Santorum's certainly not someone I want to associate with.

An "open letter" to Shah by members of the Indian-American community says: no time during this terrible period [Gujarat 2002 riots] are we aware of any statement from you dissociating yourself from these dreadful acts of VHP and RSS, especially given your proximity to these organizations:

And according to a Q&A with the general secretary of the VHP-America,
Q. She gave a statement where she says she does not identify with the ideology of the VHP. Does that hurt you?
No, everybody does not have to stand up for everything. You have to see the forces running against you. There is something called wisdom. It is very clear what is going on. Known characters from the Left. Leftist, Communist, Marxist well-known Hindu baiters, Hindu haters are coming out of the woodwork. So you do not have to fall in their trap. No matter what you tell them they are going to sing the same song so I think what Sonal has done is correct.

[Rick Santorum's a Marxist?!]

Full disclosure: I *hate* the BJP and its cohorts. Anyway, my point here is not to say one way or the other whether Sonal Shah is deeply tied to right-wing, Hindu nationalist nutjobs. I don't know. I repeat: I DON'T KNOW. But Shah has accused "leftists" of spreading lies and rumors, just like the VHP (even though Shah's part of the American left, i.e. Democrats!), and her denial is very weak; so I have to ask the question.

Saturday, December 6, 2008

Indian reactions to the Mumbai terrorist attacks

A couple of articles on Rediff caught my eye this morning:
1. Muslim leaders are coming out against the terror attacks, saying (a) they are Indians first and don't want outside help to avenge the Babri Masjid demolition and other communal attacks against Indian Muslims; (b) terrorism blemishes the concept of Jihad; and (c) "terrorists and communalists are cousins."
2. The Bombay Metropolitan Magistrate Court's Bar Association passed a resolution saying none of the over 1000 members would defend the lone terrorist captured live, Kasab.  Some say since he has been captured red-handed, and given the crime, nobody would defend Kasab.
That is just  stupid.  Do they not understand the concept of "everyone is allowed to mount a defence, and given a lawyer to help mount said defence"?  That is one of the basic underpinnings of a free society; what differentiates us from them.  I can't think of a credible defence for Kasab; but I also know that someone's terrorist is another's freedom fighter, no matter how twisted and tortured (pun unintended) that logic. [That's probably why I will never be elected to public office, if I ever did run.]
3. An online petition is being circulated that urges certain "minimum actions" that the Government of India must apparently take.  I urge folks NOT to sign this petition; I did not, and here's my response to the various "action points" detailed therein:

1 - "Destroy internal terror network" - this is easily taken to put away all sorts of people, particularly minorities. I hear the most prisoners under POTA were captured in... Jharkand! Alleged Naxalites. [Naxalites are like anarchists, calling for violent overthrow of the government.  Far-left extremists.]
2 - "All training camps outside should be destroyed" - this is a declaration of war against Pakistan. The US can afford to do this with targeted missile strikes, though not even that these days given the Iraq/Afghanistan situation, but not India. Any such missile strikes inside Pakistan will be a declaration to war, which will only help Al-Qaeda and LeT.

If War with Pakistan and state terrorism of minorities is the "minimum action required" - thanks, but no thanks.

Wednesday, December 3, 2008

Tuesday, December 2, 2008

Renaming cities and countries, and Hitchens

I was reading Christopher Hitchens' latest article in Slate, where he says the US must come out more openly in support of India and against Pakistan-based terrorists.  That is a good read, though it might follow Hitchens' known tendencies against religion, particularly Islam.
In the article, Hitchens decries the renaming of Bombay to Mumbai, claiming that to be the work of Hindu chauvinists, and comparing it to the "fake name Myanmar" for Burma.  The latter article - also by Hitchens - riles against the renaming of Ceylon to Sri Lanka, as the work of Buddhist/Sinhala nationalists and apparently against the wishes of the Tamils.

I agree with Hitchens partially - that the renaming of Bombay to Mumbai was the result of an incredibly restrictive sons-of-the-soil policy implemented by a right-wing party, the Shiv Sena.  [A class-mate once said the Shiv Sena is not communalist, it is opportunist.  True.  At one point, it was anti-Communist/labor union; once anti-South Indian, now anti-North Indian.  And in the past 15 years, anti-Muslim.]

### The text is interrupted by calculated crystals
/*
(1)
Tb2Er5In5 after structural relaxation. Source: Alexandria, functional GGA-PBE.

Cell lengths 12.0103, 5.0414, 11.7740 Å; angles 90.00, 109.79, 90.00 degrees
Space group C2/m (No. 12)
One atom of each set of equivalent atoms:
Tb: 0.0751 0.0000 0.2576 x4
Er: 0.0000 0.5000 0.0000 x2
Er: 0.1307 0.5000 0.7764 x4
Er: 0.1516 0.5000 0.5013 x4
In: 0.0000 0.0000 0.5000 x2
In: 0.1662 0.0000 0.9671 x4
In: 0.2423 0.5000 0.2804 x4

Calculated values
energy relative to the elements: -0.303 eV/atom
D(E_F): 1.002 states/eV per atom
calculated total energy: -4.1167 eV/atom


(2)
CaTbCe2 after structural relaxation. Source: Alexandria, functional GGA-PBE.

Cell lengths 3.4358, 3.4358, 37.9792 Å; angles 90.00, 90.00, 120.00 degrees
Space group R-3m (No. 166, hexagonal axes)
One atom of each set of equivalent atoms:
Ca: 0.0000 0.0000 0.0000 x3
Tb: 0.0000 0.0000 0.5000 x3
Ce: 0.0000 0.0000 0.0892 x6

Calculated values
energy relative to the elements: 0.247 eV/atom
D(E_F): 2.911 states/eV per atom
calculated total energy: -4.3777 eV/atom


(3)
KTiF2 after structural relaxation. Source: Alexandria, functional GGA-PBE.

Cell lengths 3.0861, 3.0861, 23.7538 Å; angles 90.00, 90.00, 120.00 degrees
Space group R-3m (No. 166, hexagonal axes)
One atom of each set of equivalent atoms:
K: 0.0000 0.0000 0.0000 x3
Ti: 0.0000 0.0000 0.5000 x3
F: 0.0000 0.0000 0.1049 x6

Calculated values
relative energy among the computed polymorphs: 508 meV/atom
D(E_F): 0.555 states/eV per atom
uncorrected formation energy: -6.7 eV per formula unit
calculated total energy: -4.8543 eV/atom


(4)
Mn2ZnRh after structural relaxation. Source: Alexandria, functional GGA-PBE.

Cell lengths 6.0070, 6.0070, 6.0070 Å; angles 90.00, 90.00, 90.00 degrees
Space group F-43m (No. 216)
One atom of each set of equivalent atoms:
Mn: 0.0000 0.0000 0.0000 x4
Mn: 0.2500 0.2500 0.2500 x4
Zn: 0.0000 0.0000 0.5000 x4
Rh: 0.2500 0.2500 0.7500 x4

Calculated values
energy relative to the elements: -0.147 eV/atom
D(E_F): 0.734 states/eV per atom
calculated total energy: -6.8886 eV/atom
*/
### The calculated crystals stop here

However, Hitchens fails to mention that both Bombay and Ceylon are Anglicized versions of Portuguese names.  The Portuguese were NOT the original residents; they were colonizers.  So neither the residents of Bombay/Mumbai, nor, probably, the natives of Sri Lanka/Ceylon, have a vested interest in the name, other than being used to it for many generations.  That's why I continue to refer to Bombay as such.  But the name Lanka is Sanskrit in origin, apparently meaning "island."  The Hindu epic Ramayana refers to Lanka, AFAIK.  So is it against the wishes of the Tamils?  I seriously doubt it - the Portuguese were not good rulers; colonizers never are.
[Of course, one could argue that Sanskrit and the Ramayana are impositions by Aryan invaders and thus Lanka is against the wishes of native Dravidians/Tamils... But what did the Tamils call it?  Definitely not Ceylon (before the Portuguese).]

Anyway.  The point of this post is to point out where Hitchens is seriously wrong - the renaming of Bombay and Ceylon may be the work of native "nationalists," but they at least were the work of natives (even if of a particular political/ethnic persuasion).  But the deposed names themselves are the imposition of colonizers - Roman Catholic Europeans of Mediterranean stock - and so are NOT native to the land.

Disclaimer: I am a native of Bombay, though from South India a couple generations back.  So to the Shiv Sena, I'd be a foreigner... I am also Tamil.  But I am really a Bombayite - that where I was born, brought up, and what I call home.